Profession Structure Model - Play Therapist Competency Profile
The table of competencies below is an example of a profile for the post of Play Therapist which could be used for:
A basis for a job description
Designing a play therapy training programme
Setting remuneration scales
Assessing performance
The listing of competencies in the profile is first by type of competency and secondly by importance.
In this example an experienced practitioner is required to have:
ALL of the mandatory competencies which total 1250 points
At least 11 of the desirable competencies of which:
5 must relate to techniques (110 points)
4 must relate to conditions (120 points)
2 must relate to settings (60 points)
Optional competencies: Although none of these are required they will add value to the therapist.
Total Points Required: 1600
Remember that is an example, not a definitive statement that will fit all play therapy positions.
PTISA offers a service to employers of play therapy practitioners and training providers to develop a competency profile that best meets the needs of the situation.
Enabling Competencies |
Mandatory |
100 Establishes a successful therapeutic relationship. (30 points)
101 Applies an understanding of the nature of play (20 points)
102 Applies an understanding of the development of play (10 points)
103 Uses play recognising its Importance to human development (10 points)
104 Works constructively with parents/carers and teachers (30 points)
105 Takes responsibility for physical safety (10 points)
106 Obtains satisfactory police checks (10 points)
107 Uses appropriate materials & equipment (20 points)
120 Works directively when appropriate (30 points)
130 Manages equipment (10 points)
131 Manages stocks of materials (10 points)
132 Manages a play room for therapeutic uses. (15 points)
201 Adapts and applies the therapeutic play continuum (10 points)
203 Applies a theoretical foundation to therapeutic play (30 points)
204 Takes responsibility for child protection issues (30 points)
205 Sets appropriate boundaries (30 points)
206 Encourages the emergence of the inner child (25 points)
207 Uses a non directive approach to play therapy (30 points)
208 Uses non judgemental approach / reflective commenting (30 points)
209 Uses a non Interpretive approach to therapeutic play in the sessions (30 points)
210 Builds a therapeutic alliance with clients , family and network (30 points)
211 Develops and works with appropriate beginnings & endings (30 points)
219 Maintains confidentiality & conforms to the requirements of data protection legislation (30 points)
221 Works within an ethical framework (30 points)
224 Manages the consultation process (30 points)
225 Makes clinical assessments (30 points)
226 Explores case management options (30 points)
300 Agrees a therapeutic contract (30 points)
301 Implements a therapeutic contract satisfactorily (30 points)
302 Renegotiates a therapeutic contract satisfactorily (30 points)
804 Makes informed clinical decisions in respect of clients (30 points)
807 Prepares reports (30 points)
Desirable |
111 Uses other materials in play therapy interventions (5 points)
140 Applies a knowledge of psychopharmacology to working with children using play therapy. (25 points)
212 Uses child observation to inform practice (30 points)
214 Takes responsibility for emotional safety (30 points)
216 Contributes to multi agency meetings (25 points)
230 Uses personality type to inform practice (25 points)
231 Uses intelligence types (25 points)
Therapeutic Competencies |
Mandatory |
108 Uses story telling as a play therapy intervention (25 points)
109 Uses playdough & clay as a play therapy intervention (10 points)
112 Uses drama as a play therapy intervention (20 points)
113 Uses art as a play therapy intervention (25 points)
114 Uses puppets in play therapy interventions (15 points)
116 Uses sandplay as a play therapy intervention (25 points)
118 Uses movement as a play therapy intervention (25 points)
119 Uses creative visualisation as a play therapy intervention (25 points)
161 Uses role playing as a play therapy intervention (15 points)
202 Uses metaphors and symbols to facilitate therapeutic processes (25 points)
420 Uses play therapy interventions for children who are suffering from grief and bereavement. (30 points)
421 Treats Attachment-Trauma problems (30 points)
422 Uses play therapy interventions for children who are facing a terminal illness
Desirable |
110 Uses unconstructed materials in play therapy interventions (15 points)
115 Use games in play therapy interventions (15 points)
117 Uses music as a play therapy intervention (25 points)
156 Uses mud as a play therapy intervention (5 points)
162 Uses ball play as a play therapy intervention (5 points)
213 Uses body psychotherapy methods including relaxation and breathing exercises (25 points)
240 Uses ceremonies and rituals as a play therapy intervention (30 points)
403 Treats learning and communication difficulties (30 points)
405 Treats conduct problems (30 points)
407 Treats attention and over-activity problems (including ADHD) (30 points)
408 Treats fear and anxiety problems (30 points)
410 Treats somatic problems and prepares client for for painful medical and dental procedures. (30 points)
412 Treats mood problems (30 points)
415 Assesses and treats children who have suffered physical abuse (30 points)
416 Assesses and treats children who have suffered emotional abuse and neglect (30 points)
417 Treats children who have suffered sexual abuse (CSA) (30 points)
418 Uses play therapy interventions for children who have to adjust to foster care (30 points)
419 Uses play therapy interventions for children who have to adjust to separation and divorce (25 points)
Optional |
150 Uses masks as a play therapy intervention (15 points)
151 Uses costumes as a play therapy intervention (15 points)
152 Uses a telephone as a play therapy intervention (10 points)
153 Uses blocks as a play therapy intervention (5 points)
154 Uses water as a play therapy intervention (5 points)
155 Uses food as a play therapy intervention (5 points)
163 Uses play station games as a play therapy intervention (5 points)
164 Using computer based applications as a play therapy intervention (10 points)
241 Uses ropes, cords and bands as a play therapy intervention (5 points)
401 Treats sleep problems (30 points)
402 Treats toileting problems (25 points)
440 Treats families that abuse their children (30 points)
Management Competency |
Mandatory |
223 Takes responsibility for own personal development and CPD (30 points)
Quality Management Competencies |
Mandatory |
218 Ensures quality management of therapeutic play activities (30 points)
801 Gathers and maintains information (25 points)
802 Checks and analyses information (25 points)
803 Uses information to analyse practice (30 points)
The following is a quantum chemistry calculation of a molecular structure, C18H30NO4P2Pt, from the OMol25 dataset.

Last column: Löwdin spin population.
Geometry (Å):
C: 2.98351 -2.63243 1.94197  0.296
C: 2.34546 -1.55318 1.24896  0.124
N: 0.96112 -1.58995 1.12862  0.344
C: 0.22822 -2.58279 1.70087  0.260
C: 0.82782 -3.65828 2.35555  0.198
C: 2.23634 -3.67173 2.46586  0.286
C: 3.06816 -0.49278 0.63522  0.347
P: 2.14453 0.90199 0.03213  0.097
Pt: 0.00000 0.00000 0.00000  0.524
P: -1.88415 -1.28158 0.35910  0.045
C: -1.28159 -2.42450 1.70189  0.037
C: -0.96618 1.59914 -0.90234  0.312
C: -1.20031 2.81216 -0.20467  0.210
C: -1.87078 3.89559 -0.79353  -0.001
C: -2.34150 3.81077 -2.11199  0.218
C: -2.13003 2.62441 -2.82870  0.098
C: -1.45682 1.54651 -2.23181  0.068
O: 2.99296 -2.08659 -1.82048  0.031
O: 0.54554 -3.25066 -1.92178  0.022
H: 4.07320 -2.61706 2.04058  0.010
H: 0.21279 -4.44789 2.79465  0.004
H: 2.73558 -4.49820 2.98396  0.014
C: 2.41917 2.39451 1.08518  0.035
C: 2.86874 1.41854 -1.58513  0.016
H: -1.78776 -3.40486 1.66973  0.003
H: -1.57225 -1.93935 2.65450  0.015
H: 3.06170 -1.52110 -0.98516  0.016
H: 4.14059 -0.40733 0.85481  0.012
C: -3.41193 -0.51264 1.02980  0.013
C: -2.46230 -2.39075 -0.98539  0.006
H: -0.84965 2.91051 0.82916  0.005
H: -2.02737 4.81404 -0.21444  -0.003
H: -2.86493 4.65551 -2.57359  0.009
H: -2.48902 2.53493 -3.86140  0.002
H: -1.31314 0.63355 -2.82604  0.003
H: 0.28288 -0.22537 -1.33513  0.048
H: 0.42723 -3.11391 -2.87909  0.000
H: 1.47637 -2.91499 -1.78314  0.001
H: 3.75158 -2.69268 -1.74434  0.001
H: 0.26602 -1.00296 -1.05198  0.074
H: 3.49098 2.65683 1.12348  0.002
H: 1.84464 3.24204 0.67276  0.004
H: 2.05643 2.17251 2.10120  0.000
H: 3.90646 1.77412 -1.45570  0.000
H: 2.86825 0.54350 -2.25546  0.002
H: 2.25441 2.22371 -2.02251  0.001
H: -3.25502 -3.07455 -0.63463  0.000
H: -2.84842 -1.77158 -1.81329  0.001
H: -1.58071 -2.95739 -1.33299  0.001
H: -4.17151 -1.26640 1.30039  0.002
H: -3.14483 0.09110 1.91213  0.000
H: -3.81689 0.16560 0.26025  0.000
O: -2.06292 2.04145 2.36313  0.052
C: -1.19638 1.14749 2.76964  0.013
O: -0.50967 0.33195 1.97119  0.113
H: -1.16105 0.94265 3.83046  0.008

Its charge is +1. The multiplicity is 5. As for the LUMO energy (spin up / spin down): -2.7737 / -7.1170 eV.

----------

one:
C3H5FO2P | wB97M-V/def2-TZVPD

Computed properties:
Net charge: -1
E_HOMO in eV: -1.7
Gap between HOMO and LUMO in eV: 5.601

Last column: natural (NBO) charge in e.
Geometry (Å):
C  0.08446  -1.09891  1.98753  1.019
C  -0.92465  1.34660  -0.60081  -0.695
C  -0.13931  -0.04051  -0.50954  -0.321
O  1.21947  -1.09484  2.18476  -0.593
O  -1.03481  -1.34713  2.10556  -0.583
F  -0.94376  -0.92379  -1.25144  -0.450
P  1.48963  -0.19641  -1.22186  0.159
H  -0.28514  2.14670  -0.17693  0.184
H  -1.70713  1.12739  0.12197  0.203
H  -1.40450  1.81152  -1.52206  0.151
H  1.49185  -1.55576  -1.06020  -0.035
H  2.15388  -0.17487  -0.05698  -0.039

two:
C3H5FO2P | wB97M-V/def2-TZVPD

Computed properties:
Net charge: -1
900 Implements clinical governance procedures (30 points)
Support & Settings Competencies |
Desirable |
501 Gives evidence as an expert witness in legal proceedings and supports the child witness (25 points)
Optional |
510 Practices therapeutic play in a schools setting (25 points)
511 Practices therapeutic play in a hospital setting (25 points)
512 Practices therapeutic play in a primary care setting (25 points)
513 Practices therapeutic play in a care home setting (25 points)